IN "Looks"
24 June 2015
What to wear at a wedding? Well, where does it take place?

********
[1]
The following is a DFT calculation (the ωB97M-V functional and the def2-TZVPD basis) of 6 unconnected molecules or ions with the total composition C32H61N6PS4.

Values from the calculation:
SMILES: CCCCN(CCCCP(S)S)C(=S)SCCC.CCCC#N.CCCC#N.CCCC#N.CCCC#N.CCCC#N
E_LUMO in eV: -0.687
Frontier orbital gap in eV: 7.39

```
104
C32H61N6PS4 the ωB97M-V functional and the def2-TZVPD basis
C 2.8149 -4.0814 1.7663
C 2.6335 -3.1513 0.4153
C 1.2460 -2.2798 0.3686
C 0.7902 -1.6185 1.7992
N 1.5184 -0.3035 1.9614
C 2.5057 -0.3090 3.1066
C 4.0891 -0.5005 2.6181
C 4.6224 0.7246 1.6536
C 5.3953 1.9039 2.5138
P 5.8064 3.3469 1.3289
S 6.3558 2.6666 -0.6382
S 4.0328 4.5576 1.0777
C 0.5913 0.8905 1.9826
S 0.9650 2.1853 0.8915
S -0.9176 1.1243 3.0676
C -2.4078 0.5093 2.1021
C -3.5435 1.6487 1.7873
C -2.9527 3.1244 1.3777
H 1.7631 -4.5901 1.9970
H 3.0543 -3.3623 2.6799
H 3.6609 -4.8833 1.6527
H 3.6028 -2.4958 0.1794
H 2.5712 -3.9209 -0.4956
H 1.4512 -1.3647 -0.3698
H 0.3211 -2.8644 -0.0971
H -0.3676 -1.3521 1.6840
H 0.8558 -2.3404 2.7224
H 2.3215 -1.1912 3.8894
H 2.5050 0.7075 3.7313
H 4.8361 -0.5758 3.5438
H 4.2402 -1.4949 2.0080
H 5.4389 0.2845 0.9062
H 3.7646 1.1629 0.9566
H 4.7590 2.2827 3.4379
H 6.4248 1.4620 2.9081
H 5.2441 2.7616 -1.5244
H 4.4408 5.7998 0.5096
H -2.8515 -0.4168 2.7088
H -2.0388 0.0628 1.0648
H -4.3025 1.7356 2.7023
H -4.1810 1.2720 0.8512
H -3.2357 3.8532 2.2799
H -3.5594 3.4827 0.4147
H -1.7987 3.1131 1.1481
C 1.3702 8.7831 2.6743
C 1.9769 7.6384 3.4795
C 1.1750 6.3405 3.3657
C -0.2339 6.5596 3.8923
N -1.4028 6.7413 4.3291
H 0.3700 9.0446 3.0339
H 1.9911 9.6804 2.7622
H 1.2978 8.5208 1.6126
H 2.0458 7.9422 4.5312
H 2.9992 7.4597 3.1284
H 1.6574 5.5486 3.9483
H 1.1228 6.0106 2.3224
C -3.1644 4.2984 -3.8906
C -1.7852 3.6596 -3.7630
C -1.8480 2.1458 -3.5507
C -2.6033 1.8381 -2.2681
N -3.2301 1.5828 -1.2040
H -3.7544 4.1723 -2.9773
H -3.0699 5.3742 -4.0695
H -3.7235 3.8613 -4.7259
H -1.2521 4.1306 -2.9280
H -1.2105 3.8702 -4.6716
H -0.8356 1.7342 -3.4792
H -2.3534 1.6598 -4.3922
C -4.0361 0.4004 -8.1830
C -4.9990 0.8793 -7.1013
C -5.7284 2.1690 -7.4827
C -4.7187 3.2827 -7.7071
N -3.8810 4.2068 -7.8933
H -3.2368 1.1262 -8.3629
H -3.5600 -0.5375 -7.8797
H -4.5630 0.2257 -9.1280
H -4.4396 1.0298 -6.1699
H -5.7379 0.0933 -6.9098
H -6.4156 2.4627 -6.6822
H -6.3143 2.0238 -8.3968
C 1.5731 -7.6326 5.4417
C 0.2951 -8.1132 4.7617
C 0.0292 -7.4095 3.4295
C -0.1222 -5.9147 3.6598
N -0.2476 -4.6745 3.8508
H 1.5199 -6.5696 5.6973
H 1.7373 -8.1823 6.3740
H 2.4442 -7.7890 4.7953
H -0.5503 -7.9535 5.4421
H 0.3691 -9.1924 4.5880
H -0.8888 -7.7981 2.9761
H 0.8539 -7.5849 2.7303
C -1.5907 -4.4678 -2.0833
C -0.2662 -4.7252 -2.7946
C -0.0493 -6.2015 -3.1322
C -0.0373 -7.0242 -1.8542
N -0.0276 -7.7067 -0.7939
H -1.6375 -4.9812 -1.1177
H -1.7154 -3.3979 -1.8879
H -2.4361 -4.8040 -2.6944
H 0.5529 -4.3644 -2.1604
H -0.2396 -4.1386 -3.7195
H 0.9057 -6.3315 -3.6523
H -0.8460 -6.5671 -3.7890
```

[2]
********
End of the calculated molecules
RO: Invitatia e in mana ta: e nunta unor prieteni si tu nu ai prea mult timp la dispozitie sa iti pregatesti tinuta. Citesti pe diagonala numele parintilor, a nasilor si respiri adanc. Normal ca asta e prima intrebare care iti trece prin minte: cu ce ma imbrac? Al tau are costumul pregatit, insa tu trebuie sa faci research online… e complicat. Nuntile pot fi foarte stresante, pentru ca de fiecare data trebuie sa gasesti o noua tinuta si – hai sa recunoastem, nu vrei sa apari de doua ori cu aceeasi rochie. Am decoperit anul trecut un site numit DRESSBOX.RO, site despre care ajung sa vorbesc la orice petrecere sau ocazie speciala. DRESSBOX oferta clientelor sale rochii de ocazie high-end, pe care le pot inchiria. Practic intri pe site, alegi rochia care iti place si in 24 de ore, ea ajunge la tine acasa (mai nou o poti si cumpara daca te-ai indragostit iremediabil de o anumita piesa).
Pentru ca prefer sa port o noua rochie la fiecare eveniment, serviciul de inchiriere mi se pare GENIAL. Fie ca ai nevoie de o rochie de nunta, de o rochie de ocazie, sau pur si simplu iti doresti un look elegant la urmatoarea petrecere, eu te voi indruma catre acelasi site. Vorbele sunt de prisos, vreau sa va arat patru tinute pe care noi le-am ales de pe DRESSBOX.RO, fiecare tinuta fiind potrivita pentru o nunta intr-o anumita locatie.
EN: You’re holding the invitation: it’s a friends’ wedding and you don’t have much time to pick your outfit. You read the name of their parents, the godfathers’ and you take a deep breath. The first question that pops up is, obviously, what am I going to wear? Your man has his suit laid out, yet you have to do some online research… it’s complicated. Weddings can be stressful, since you have to wear a new outfit every time and let’s be honest, you don’t want to get spotted in the same dress twice. Last year I stumbled upon a site called DRESSBOX.RO, about which I find myself talking at every party or special occasion. DRESSBOX features high-end dresses that clients can rent. You basically go online, pick the dress that you would like to wear and in 24 hours it’s knocking at your door (now you can also buy the item you rented, if you end up falling in love with it.)
Since I like wearing something different to each event, I find the renting service an INGENIOUS idea. Words can only mean so much, I would like to go on and show you four outfits that we chose from DRESSBOX.RO, each appropriate for a certain type of wedding.
RO: Primul setting este o nunta de zi, la un restaurant elegant. Cel mai probabil este nunta unei prietene bune si vrei sa fi o aparitie, fara a eclipsa insa, mireasa. Nu este cazul sa spun ca albul este strict interzis la nunta, daca nu esti tu cea care se casatoreste. Pentru o nunta tinereasca, am ales o rochie vaporoasa, galbena, de la MSGM, delimitata cu elastic in jurul taliei si fermoar ascuns, la spate. Alege o pereche de sandale in ton cu rochia si o pereche de ochelari de soare alb-negru care vor upgrada tinuta instant. Cu siguranta vei sta si pe terasa, asa ca ai nevoie si de ochelari de soare.
EN: The first setting is the day wedding, held in a classy restaurant. Most likely it’s a good friends’ wedding and you would like to stand out, but of course not steal the show. Needless to say, white is strictly forbidden at weddings, unless you are the bride. For a hip wedding, I chose an airy yellow dress, from MSGM. The dress accentuates the waist and has a hidden zipper, at the back. If you’ll also go for matching sandals and a pair of monochrome sunglasses, the outfit will be instantly upgraded. You will be sitting on the terrace too, so you’ll need the sunglasses.
RO: Ceva mai rar intalnita, nunta la piscina este un setting de vis. Am inceput tinuta de la un turban visiniu. (Mai devreme sau mai tarziu m-am gandit la Carrie /Abu Dhabi) Am ales o rochie intr-o culoare aprinsa de la Badgley Mischka, care se inchiriaza cu 450ron, o pereche de sandale animal print si am purtat un cercel pe post de decoratiune pentru turban, de vreme ce in urechi, bijuteriile nu era vizibile, de par. Look-ul este unul exotic si surprinzator.
EN: Even though it’s rarer, the poolside wedding is a dream setting. I started putting the outfit together around a crimson turban. (Sooner or later it reminded me of Carrie / Abu Dhabi). I chose a bold dress from Badgley Mischka, that you can rent with 450 ron, a pair of animal print sandals and I wore an earring as a decoration for the turban. The look is fresh and exotic.
RO: Pentru a III-a situatie si anume nunta in gradina am ales o rochie romantica si diafana, intr-o nuanta placuta de verde, de la Blumarine. Am completat look-ul cu o palarie Panama.
EN: For our third setting, the garden wedding, I chose a romantic and airy dress, in a beautiful green, from Blumarine. I completed the look with a Panama hat.
RO: Desigur, invitatiile care ne dau cele mai multe batai de cap, sunt cele la care se impune o tinuta extrem de eleganta. Stralucirea este la ea acasa la acest tip de nunta si tu intelegi din primul moment ca trebuie sa te ridici la nivelul asteptarilor (mirilor si a) mesenilor, care va vor privi indelung, inca de cand intrati in sala. Pentru acel moment in care vrei sa furi zambete si aprecieri, alegerea este una simpla: o rochie tip sirena, cu spatele gol. Am ales o rochie de la Blumarine, la care am asortat un gloss aprins, in nuante de corai. YOU ARE INVITED:
EN: Of course, the invitations that stress us the most are those that require a very formal outfit. The glitz and glam is on demand at such weddings and you have to rise up to the wedding goers’ expectations (and those of the grooms, of course), who are all going to stare as you walk in. For that moment, in order to steal their smiles and appreciative glances, the choice is simple: a backless, mermaid dress. I chose one from Blumarine and I paired it with a bold, coral shaded lipgloss. YOU ARE INVITED:
Photographed by Carmen Grebenisan at Grand Hotel Italia
NOW TELL ME which is your absolute favorite?